== Contents ==
-- begin --
Below is a geometry-optimized LiAcMnGe2 structure, with properties calculated at the PBE level.

Calculated values
E_form in eV per atom: -0.481
ρ in g/cm3: 6.96
Crystal system: tetragonal

Cell lengths 4.393, 4.393, 10.738 Å; angles 90.00, 90.00, 90.00 degrees
Space group I-4m2 (No. 119)
Symmetry-distinct sites (fractional):
1 Li 0.000 0.000 0.000 x2
2 Ac 0.000 0.500 0.250 x2
3 Mn 0.000 0.000 0.500 x2
4 Ge 0.000 0.500 0.625 x4
-- stop --

== Request ==
Your job: say how many lines of the entries further above hold the word "fractional", as a bare number.

== Reply ==
1